Entries:
# 1
Density functional theory data (ωB97M-V/def2-TZVPD) for the molecule C22H22N6O3.

Last column: Mulliken charge in e.
Element x y z (Å)
C1 -1.93522 -3.83778 1.76748  -1.0297
H1 -1.14354 -4.56692 1.93495  0.2789
O1 -1.53820 -3.10905 0.63347  -0.3823
C2 -2.32324 -2.06637 0.21170  0.9979
C3 -3.54002 -1.74512 0.79736  -0.3700
C4 -4.30579 -0.68096 0.35057  -0.9768
C5 -3.88106 0.07798 -0.72508  -0.3969
C6 -2.67369 -0.24960 -1.32722  0.0413
C7 -1.87232 -1.28923 -0.87408  0.3206
O2 -0.71146 -1.44570 -1.56828  -0.5023
C8 0.38381 -2.13524 -1.00508  -0.6087
H2 0.62985 -1.75201 -0.01187  0.2058
H3 1.21869 -1.94082 -1.67878  0.2865
H4 0.20073 -3.20969 -0.94709  0.2778
H5 -2.30707 0.32571 -2.16400  0.5356
C9 -4.60302 1.32579 -1.16706  -0.7465
C10 -3.59916 2.46232 -1.07511  0.4225
O3 -3.28922 3.20462 -1.97906  -0.6594
N1 -3.04875 2.57107 0.17409  -0.2505
N2 -1.77579 3.14431 0.30118  -0.4070
C11 -0.78187 2.31044 0.70903  0.1335
N3 -1.15459 1.17855 1.31082  -0.3826
C12 -0.22078 0.35615 1.77121  -0.7300
N4 1.08312 0.48988 1.71044  -0.4558
C13 1.46387 1.62730 1.11701  0.5599
N5 2.71525 2.06909 0.89848  0.9817
N6 2.70525 3.25246 0.26919  -1.1221
C14 1.45647 3.60086 0.08099  -0.6568
C15 0.58634 2.61421 0.59716  0.6800
H6 1.21742 4.52767 -0.40084  0.4899
C16 3.94694 1.37621 1.18384  -1.5234
C17 4.18623 0.30641 0.14705  0.5961
C18 4.78721 0.62908 -1.06234  -0.3813
C19 4.96508 -0.34079 -2.03304  -0.6210
C20 4.54027 -1.63862 -1.80288  -0.3773
C21 3.93171 -1.96267 -0.60205  -0.6951
C22 3.75146 -0.99286 0.36884  0.0191
H7 3.26416 -1.23844 1.30043  0.3056
H8 3.59407 -2.97255 -0.42145  0.4313
H9 4.68070 -2.39584 -2.56014  0.4012
H10 5.43520 -0.08350 -2.97065  0.3848
H11 5.11093 1.64399 -1.24186  0.4023
H12 3.86359 0.93162 2.17879  0.4653
H13 4.74266 2.12368 1.16770  0.4507
H14 -0.59153 -0.54119 2.24947  0.5749
H15 -1.58674 3.82313 -0.42838  0.3399
H16 -3.12666 1.78269 0.81292  0.5566
H17 -5.46074 1.52556 -0.52440  0.3220
H18 -4.94182 1.25355 -2.20138  0.3312
H19 -5.23546 -0.45186 0.84966  0.3301
H20 -3.90597 -2.32584 1.62856  0.4069
H21 -2.87992 -4.36528 1.59962  0.3646
H22 -2.02737 -3.19640 2.65009  0.3811

Computed properties:
Relative energy (zero: lowest compared OMol25 entry of this formula, charge and spin) (kcal/mol): 0.0
Structure (SMILES): COc1ccc(CC(=O)NNc2ncnc3c2cnn3Cc2ccccc2)cc1OC
HOMO-LUMO gap (eV): 8.87
LUMO energy (eV): 0.6
HOMO energy (eV): -8.2

# 2
Density functional theory data (ωB97M-V/def2-TZVPD) for a cluster of 2 separate species, C4H12NO in total.

Last column: Mulliken charge in e.
Element x y z (Å)
C1 -1.51388 -1.63081 -1.55013  -0.7294
C2 -0.05115 -2.07530 -1.72994  -0.7923
H1 -2.06641 -2.46351 -1.10426  0.1853
H2 -1.96821 -1.48652 -2.54014  0.3094
H3 -1.62980 -0.74379 -0.93839  0.2152
H4 0.07349 -2.85200 -2.48930  0.3538
H5 0.55382 -1.20264 -1.98459  0.1928
H6 0.31632 -2.38031 -0.75259  0.2329
C3 0.52604 0.51218 0.65012  -0.3172
O1 0.02137 -0.71390 0.87443  -0.7998
C4 0.47936 1.46969 1.85485  -0.3198
N1 1.16333 2.73783 1.55706  -0.5535
H7 1.57271 0.45662 0.27736  0.1396
H8 0.00478 1.13020 -0.16399  0.0317
H9 -0.56030 1.67523 2.13752  0.1732
H10 0.99595 0.99842 2.69672  0.3305
H11 0.71283 3.27326 0.83349  0.1821
H12 1.36975 3.29536 2.37178  0.1656

Computed properties:
Relative energy (zero: lowest compared OMol25 entry of this formula, charge and spin) (kcal/mol): 16.4
HOMO-LUMO gap (eV): 6.69
LUMO energy (eV): 4.4
Net charge: -1
HOMO energy (eV): -2.3

# 3
Density functional theory data (ωB97M-V/def2-TZVPD) for a structure of composition C32H87CsN5O17V.

Last column: Löwdin spin population.
Element x y z (Å)
V1 0.04849 -0.30181 -0.40590  1.9508
Cs1 0.49426 -4.44744 -2.75600  0.0001
O1 1.79725 -1.25568 0.38435  0.0055
C1 2.80561 -0.23289 0.53355  -0.0003
C2 2.22156 1.16540 1.00396  0.0004
O2 1.03111 1.53734 0.21331  0.0031
H1 3.39772 -0.19813 -0.38094  0.0000
H2 3.47582 -0.70797 1.24994  -0.0007
H3 3.12137 1.75812 0.83923  -0.0005
H4 2.10877 1.07808 2.08458  0.0002
O3 -1.27235 -0.48908 1.36001  0.0134
What to do:
Find the line earlier on that holds "H10 5.43520", then give back that line and all lines after it there.
Worked solution:
H10 5.43520 -0.08350 -2.97065  0.3848
H11 5.11093 1.64399 -1.24186  0.4023
H12 3.86359 0.93162 2.17879  0.4653
H13 4.74266 2.12368 1.16770  0.4507
H14 -0.59153 -0.54119 2.24947  0.5749
H15 -1.58674 3.82313 -0.42838  0.3399
H16 -3.12666 1.78269 0.81292  0.5566
H17 -5.46074 1.52556 -0.52440  0.3220
H18 -4.94182 1.25355 -2.20138  0.3312
H19 -5.23546 -0.45186 0.84966  0.3301
H20 -3.90597 -2.32584 1.62856  0.4069
H21 -2.87992 -4.36528 1.59962  0.3646
H22 -2.02737 -3.19640 2.65009  0.3811

Computed properties:
Relative energy (zero: lowest compared OMol25 entry of this formula, charge and spin) (kcal/mol): 0.0
Structure (SMILES): COc1ccc(CC(=O)NNc2ncnc3c2cnn3Cc2ccccc2)cc1OC
HOMO-LUMO gap (eV): 8.87
LUMO energy (eV): 0.6
HOMO energy (eV): -8.2

# 2
Density functional theory data (ωB97M-V/def2-TZVPD) for a cluster of 2 separate species, C4H12NO in total.

Last column: Mulliken charge in e.
Element x y z (Å)
C1 -1.51388 -1.63081 -1.55013  -0.7294
C2 -0.05115 -2.07530 -1.72994  -0.7923
H1 -2.06641 -2.46351 -1.10426  0.1853
H2 -1.96821 -1.48652 -2.54014  0.3094
H3 -1.62980 -0.74379 -0.93839  0.2152
H4 0.07349 -2.85200 -2.48930  0.3538
H5 0.55382 -1.20264 -1.98459  0.1928
H6 0.31632 -2.38031 -0.75259  0.2329
C3 0.52604 0.51218 0.65012  -0.3172
O1 0.02137 -0.71390 0.87443  -0.7998
C4 0.47936 1.46969 1.85485  -0.3198
N1 1.16333 2.73783 1.55706  -0.5535
H7 1.57271 0.45662 0.27736  0.1396
H8 0.00478 1.13020 -0.16399  0.0317
H9 -0.56030 1.67523 2.13752  0.1732
H10 0.99595 0.99842 2.69672  0.3305
H11 0.71283 3.27326 0.83349  0.1821
H12 1.36975 3.29536 2.37178  0.1656

Computed properties:
Relative energy (zero: lowest compared OMol25 entry of this formula, charge and spin) (kcal/mol): 16.4
HOMO-LUMO gap (eV): 6.69
LUMO energy (eV): 4.4
Net charge: -1
HOMO energy (eV): -2.3

# 3
Density functional theory data (ωB97M-V/def2-TZVPD) for a structure of composition C32H87CsN5O17V.

Last column: Löwdin spin population.
Element x y z (Å)
V1 0.04849 -0.30181 -0.40590  1.9508
Cs1 0.49426 -4.44744 -2.75600  0.0001
O1 1.79725 -1.25568 0.38435  0.0055
C1 2.80561 -0.23289 0.53355  -0.0003
C2 2.22156 1.16540 1.00396  0.0004
O2 1.03111 1.53734 0.21331  0.0031
H1 3.39772 -0.19813 -0.38094  0.0000
H2 3.47582 -0.70797 1.24994  -0.0007
H3 3.12137 1.75812 0.83923  -0.0005
H4 2.10877 1.07808 2.08458  0.0002
O3 -1.27235 -0.48908 1.36001  0.0134